Wanted
The reader should quote only the last part of the contents below, starting with the line that has "Pb1 0.3569".

Given
┌──
Record 1
VASP calculation (SCAN) on a crystal of YAgF2 relaxed with PBEsol.

Unit cell a=4.3597 b=4.3597 c=4.3597 alpha=60.00 beta=60.00 gamma=60.00
Closest atoms and distances in Å follow each position.
Positions (direct):
Y1 0.0000 0.0000 0.0000  8 F 2.67
Ag1 0.5000 0.5000 0.5000  8 F 2.67
F1 0.2500 0.2500 0.2500  4 Ag 2.67, 4 Y 2.67
F2 0.7500 0.7500 0.7500  4 Y 2.67, 4 Ag 2.67

- formation energy without anion corrections (kJ/mol of atoms) = -198.1

Record 2
VASP calculation (SCAN) on a crystal of MgSiAs2 relaxed with PBEsol.

Unit cell a=6.7586 b=6.7586 c=6.7586 alpha=127.81 beta=127.81 gamma=76.93
Closest atoms and distances in Å follow each position.
Positions (direct):
Mg1 0.0000 0.0000 0.0000  4 As 2.62
Mg2 0.7500 0.2500 0.5000  4 As 2.62
Si1 0.2500 0.7500 0.5000  4 As 2.36
Si2 0.5000 0.5000 0.0000  4 As 2.36
As1 0.1615 0.6250 0.0365  2 Si 2.36, 2 Mg 2.62
As2 0.3750 0.4115 0.5365  2 Si 2.36, 2 Mg 2.62
As3 0.5885 0.1250 0.9635  2 Si 2.36, 2 Mg 2.62
As4 0.8750 0.8385 0.4635  2 Si 2.36, 2 Mg 2.62

- formation energy without anion corrections (kJ/mol of atoms) = -38.3

Record 3
VASP calculation (SCAN) on a crystal of Zr2AgPb relaxed with PBEsol.

Unit cell a=5.2555 b=5.2555 c=3.1524 alpha=90.00 beta=90.00 gamma=107.72
Closest atoms and distances in Å follow each position.
Positions (direct):
Zr1 0.0000 0.5000 0.0000  4 Pb 3.06, 4 Ag 3.06, 4 Zr 3.10-3.15
Zr2 0.5000 0.0000 0.0000  4 Pb 3.06, 4 Ag 3.06, 4 Zr 3.10-3.15
Ag1 0.0000 0.0000 0.5000  8 Zr 3.06, 2 Pb 3.10, 2 Ag 3.15
Pb1 0.5000 0.5000 0.5000  8 Zr 3.06, 2 Ag 3.10, 2 Pb 3.15

- energy relative to the elements (eV per atom) = -0.236

Record 4
VASP calculation (SCAN) on a crystal of YTePb2 relaxed with PBEsol.

Unit cell a=4.0402 b=4.3511 c=6.7082 alpha=90.00 beta=101.67 gamma=90.00
Closest atoms and distances in Å follow each position.
Positions (direct):
Y1 0.0000 0.0000 0.0000  4 Te 3.12-3.16, 4 Pb 3.21-3.41
Te1 0.4555 0.5000 0.8438  4 Y 3.12-3.16, 1 Pb 3.20
Pb1 0.3937 0.5000 0.3118  4 Pb 3.07-3.33, 1 Te 3.20, 2 Y 3.21
Pb2 0.9030 0.0000 0.4926  4 Pb 3.07-3.33, 2 Y 3.35-3.41

- formation energy without anion corrections (kJ/mol of atoms) = -62.4

Record 5
VASP calculation (SCAN) on a crystal of Pt2PbO4 relaxed with PBEsol.

Unit cell a=5.5471 b=6.1354 c=6.6508 alpha=115.71 beta=96.91 gamma=108.85
Closest atoms and distances in Å follow each position.
Positions (direct):
Pt1 0.0000 0.0000 0.0000  6 O 2.00-2.02
Pt2 0.0000 0.0000 0.5000  4 O 1.99
Pt3 0.0000 0.5000 0.0000  4 O 2.02
Pt4 0.5000 0.5000 0.0000  4 O 1.98-2.00
Pb1 0.3569 0.7487 0.6369  6 O 2.41-2.69
Pb2 0.6431 0.2513 0.3631  6 O 2.41-2.69
O1 0.0209 0.3617 0.2242  2 Pt 2.02
O2 0.1355 0.8945 0.2244  3 Pt 1.99-2.02
O3 0.3365 0.3340 0.6558  2 Pt 1.99-2.00
O4 0.3752 0.1567 0.9958  2 Pt 1.98-2.00
O5 0.6248 0.8433 0.0042  2 Pt 1.98-2.00
O6 0.6635 0.6660 0.3442  2 Pt 1.99-2.00
O7 0.8645 0.1055 0.7756  3 Pt 1.99-2.02
O8 0.9791 0.6383 0.7758  2 Pt 2.02

- formation energy without anion corrections (kJ/mol of atoms) = -83.8

Record 6
VASP calculation (SCAN) on a crystal of KCdAs2 relaxed with PBEsol.

Unit cell a=5.7737 b=5.7737 c=2.8654 alpha=90.00 beta=90.00 gamma=112.77
Closest atoms and distances in Å follow each position.
Positions (direct):
K1 0.0000 0.0000 0.0000  2 K 2.87, 2 Cd 3.20
Cd1 0.5000 0.5000 0.0000  2 Cd 2.87, 2 K 3.20
As1 0.0000 0.5000 0.5000  4 As 2.87-3.20
As2 0.5000 0.0000 0.5000  4 As 2.87-3.20

- energy relative to the elements (eV per atom) = 0.053

Q: Which formula does entry 3 have?
A: Zr2AgPb

Q: What is the formula in the first record?
A: YAgF2

Q: What is the formula in the second record?
A: MgSiAs2
└──

Solution
Pb1 0.3569 0.7487 0.6369  6 O 2.41-2.69
Pb2 0.6431 0.2513 0.3631  6 O 2.41-2.69
O1 0.0209 0.3617 0.2242  2 Pt 2.02
O2 0.1355 0.8945 0.2244  3 Pt 1.99-2.02
O3 0.3365 0.3340 0.6558  2 Pt 1.99-2.00
O4 0.3752 0.1567 0.9958  2 Pt 1.98-2.00
O5 0.6248 0.8433 0.0042  2 Pt 1.98-2.00
O6 0.6635 0.6660 0.3442  2 Pt 1.99-2.00
O7 0.8645 0.1055 0.7756  3 Pt 1.99-2.02
O8 0.9791 0.6383 0.7758  2 Pt 2.02

- formation energy without anion corrections (kJ/mol of atoms) = -83.8

Record 6
VASP calculation (SCAN) on a crystal of KCdAs2 relaxed with PBEsol.

Unit cell a=5.7737 b=5.7737 c=2.8654 alpha=90.00 beta=90.00 gamma=112.77
Closest atoms and distances in Å follow each position.
Positions (direct):
K1 0.0000 0.0000 0.0000  2 K 2.87, 2 Cd 3.20
Cd1 0.5000 0.5000 0.0000  2 Cd 2.87, 2 K 3.20
As1 0.0000 0.5000 0.5000  4 As 2.87-3.20
As2 0.5000 0.0000 0.5000  4 As 2.87-3.20

- energy relative to the elements (eV per atom) = 0.053

Q: Which formula does entry 3 have?
A: Zr2AgPb

Q: What is the formula in the first record?
A: YAgF2

Q: What is the formula in the second record?
A: MgSiAs2